Job >
Could you retype every line further down that contains the word "position"?
Contents >
=====
First-principles (GGA-PBE) data for a geometry-optimized RbZr2MnNb structure, as listed in Alexandria.

Calculated values
- ΔE_f: 0.887 eV/atom

a = 5.1366 Å, b = 5.1366 Å, c = 4.7089 Å
α = 90.00°, β = 90.00°, γ = 90.00°
Closest atoms and distances in Å follow each position.
Atoms (fractional coordinates):
Rb1 0.0000 0.0000 0.0000  8 Zr 3.48, 4 Nb 3.63
Zr1 0.0000 0.5000 0.5000  2 Mn 2.57
Zr2 0.5000 0.0000 0.5000  2 Mn 2.57
Mn1 0.5000 0.5000 0.5000  2 Nb 2.35, 4 Zr 2.57
Nb1 0.5000 0.5000 0.0000  2 Mn 2.35


First-principles (GGA-PBE) data for a geometry-optimized Mn3NbRe structure, as listed in Alexandria.

Calculated values
- ΔE_f: 1.340 eV/atom
- Excess energy over the best structure of this formula in the dataset: 0 meV/atom

a = 4.5345 Å, b = 4.5345 Å, c = 4.5345 Å
α = 90.00°, β = 90.00°, γ = 90.00°
Closest atoms and distances in Å follow each position.
Atoms (fractional coordinates):
Mn1 0.0000 0.0000 0.5000  2 Re 2.27
Mn2 0.0000 0.5000 0.0000  2 Re 2.27
Mn3 0.5000 0.0000 0.0000  2 Re 2.27
Nb1 0.5000 0.5000 0.5000  12 Mn 3.21
Re1 0.0000 0.0000 0.0000  6 Mn 2.27


First-principles (GGA-PBE) data for a geometry-optimized MnNbRe3 structure, as listed in Alexandria.

Calculated values
- ΔE_f: 1.203 eV/atom
- Excess energy over the best structure of this formula in the dataset: 0 meV/atom

a = 4.4117 Å, b = 4.4117 Å, c = 4.4117 Å
α = 90.00°, β = 90.00°, γ = 90.00°
Closest atoms and distances in Å follow each position.
Atoms (fractional coordinates):
Mn1 0.0000 0.0000 0.0000  6 Re 2.21
Nb1 0.5000 0.5000 0.5000  12 Re 3.12
Re1 0.0000 0.0000 0.5000  2 Mn 2.21
Re2 0.0000 0.5000 0.0000  2 Mn 2.21
Re3 0.5000 0.0000 0.0000  2 Mn 2.21


First-principles (GGA-PBE) data for a geometry-optimized Mn3NbRe structure, as listed in Alexandria.

Calculated values
- ΔE_f: 2.066 eV/atom
- Excess energy over the best structure of this formula in the dataset: 726 meV/atom

a = 4.3397 Å, b = 4.3397 Å, c = 4.3397 Å
α = 90.00°, β = 90.00°, γ = 90.00°
Closest atoms and distances in Å follow each position.
Atoms (fractional coordinates):
Mn1 0.0000 0.0000 0.5000  2 Nb 2.17
Mn2 0.0000 0.5000 0.0000  2 Nb 2.17
Mn3 0.5000 0.0000 0.0000  2 Nb 2.17
Nb1 0.0000 0.0000 0.0000  6 Mn 2.17
Re1 0.5000 0.5000 0.5000  12 Mn 3.07


First-principles (GGA-PBE) data for a geometry-optimized Mn2Nb2Re structure, as listed in Alexandria.

Calculated values
- ΔE_f: 0.100 eV/atom

a = 6.1183 Å, b = 6.1183 Å, c = 4.0616 Å
α = 90.00°, β = 90.00°, γ = 90.00°
Closest atoms and distances in Å follow each position.
Atoms (fractional coordinates):
Mn1 0.1228 0.3772 0.0000  1 Mn 2.12
Mn2 0.3772 0.8772 0.0000  1 Mn 2.12
Mn3 0.6228 0.1228 0.0000  1 Mn 2.12
Mn4 0.8772 0.6228 0.0000  1 Mn 2.12
Nb1 0.1829 0.6829 0.5000  6 Mn 2.64-2.79
Nb2 0.3171 0.1829 0.5000  6 Mn 2.64-2.79
Nb3 0.6829 0.8171 0.5000  6 Mn 2.64-2.79
Nb4 0.8171 0.3171 0.5000  6 Mn 2.64-2.79
Re1 0.0000 0.0000 0.0000  4 Mn 2.43
Re2 0.5000 0.5000 0.0000  4 Mn 2.43


First-principles (GGA-PBE) data for a geometry-optimized MnNb3Re2 structure, as listed in Alexandria.

Calculated values
- ΔE_f: -0.209 eV/atom

a = 7.0883 Å, b = 7.0883 Å, c = 6.3395 Å
α = 90.00°, β = 90.00°, γ = 143.11°
Closest atoms and distances in Å follow each position.
Atoms (fractional coordinates):
Mn1 0.1674 0.8326 0.0000  8 Nb 2.70-2.74
Mn2 0.8326 0.1674 0.0000  8 Nb 2.70-2.74
Nb1 0.0000 0.0000 0.2472  6 Re 2.74-2.76, 2 Mn 2.74
Nb2 0.0000 0.0000 0.7528  6 Re 2.74-2.76, 2 Mn 2.74
Nb3 0.3317 0.6683 0.2447  3 Mn 2.70-2.73, 5 Re 2.74-2.78
Nb4 0.3317 0.6683 0.7553  3 Mn 2.70-2.73, 5 Re 2.74-2.78
Nb5 0.6683 0.3317 0.2447  3 Mn 2.70-2.73, 5 Re 2.74-2.78
Nb6 0.6683 0.3317 0.7553  3 Mn 2.70-2.73, 5 Re 2.74-2.78
Re1 0.1666 0.8334 0.5000  8 Nb 2.75-2.77
Re2 0.5000 0.5000 0.0000  8 Nb 2.74
Re3 0.5000 0.5000 0.5000  8 Nb 2.76-2.78
Re4 0.8334 0.1666 0.5000  8 Nb 2.75-2.77


First-principles (GGA-PBE) data for a geometry-optimized MnNb2Re4 structure, as listed in Alexandria.

Calculated values
- ΔE_f: 1.242 eV/atom

a = 7.2058 Å, b = 7.2058 Å, c = 7.2058 Å
=====
Worked solution >
Closest atoms and distances in Å follow each position.
Closest atoms and distances in Å follow each position.
Closest atoms and distances in Å follow each position.
Closest atoms and distances in Å follow each position.
Closest atoms and distances in Å follow each position.
Closest atoms and distances in Å follow each position.